Request:
Return everything further down exactly.

File:
____________
(1)
C37H32LuNP2Se as an isolated structure at a distorted geometry. Source: the OMol25 dataset; level of theory: ωB97M-V with the def2-TZVPD basis set.

Calculated values
DFT total energy   -157907.923 eV
F_max   2.8 eV/Å
Energy relative to the best compared isomer or geometry (same formula, charge and spin)   0.0 kcal/mol

```
! wB97M-V def2-TZVPD RIJCOSX def2/J DEFGRID3
* xyz 2 1
C 0.755 -1.045 -2.036
C -0.293 -1.450 -1.193
C -1.589 -1.618 -1.704
C -1.842 -1.318 -3.040
C -0.812 -0.883 -3.880
C 0.483 -0.741 -3.371
P 0.065 -1.745 0.572
C -1.279 -2.925 1.064
C -2.336 -2.476 1.877
C -3.334 -3.397 2.198
C -3.301 -4.713 1.717
C -2.233 -5.143 0.923
C -1.211 -4.242 0.610
Lu -0.885 -0.023 2.228
P 0.053 1.689 0.462
C -1.335 1.817 -0.732
C -1.157 2.195 -2.068
C -2.252 2.238 -2.941
C -3.527 1.884 -2.479
C -3.698 1.499 -1.151
C -2.623 1.485 -0.262
C -0.220 3.098 1.644
C 0.643 3.189 2.751
C 0.423 4.181 3.699
C -0.595 5.120 3.517
C -1.419 5.059 2.386
C -1.211 4.061 1.432
C 1.599 2.070 -0.371
C 2.678 1.180 -0.213
C 3.913 1.476 -0.787
C 4.094 2.667 -1.507
C 3.026 3.567 -1.647
C 1.779 3.270 -1.079
C 1.617 -2.665 0.614
C 2.056 -3.451 -0.457
C 3.275 -4.136 -0.369
C 4.048 -4.038 0.795
C 3.588 -3.268 1.874
C 2.370 -2.597 1.802
H 1.471 2.479 2.860
H 1.066 4.230 4.576
H -0.731 5.927 4.239
H -2.201 5.805 2.232
H -1.806 4.023 0.514
H -0.169 2.480 -2.423
H -2.109 2.571 -3.968
H -4.387 1.966 -3.156
H -4.695 1.262 -0.779
H -2.823 1.275 0.803
H 2.544 0.256 0.356
H 4.740 0.777 -0.678
H 5.060 2.888 -1.966
H 3.165 4.499 -2.202
H 0.955 3.977 -1.182
H 1.448 -3.537 -1.363
H 3.611 -4.756 -1.204
H 4.985 -4.590 0.872
H 4.179 -3.211 2.784
H 1.985 -2.034 2.658
H -2.498 -1.394 2.227
H -4.151 -3.073 2.833
H -4.109 -5.406 1.958
H -2.188 -6.170 0.556
H -0.344 -4.568 0.028
H -2.355 -2.073 -1.083
H -2.837 -1.500 -3.452
H -0.991 -0.763 -4.951
H 1.306 -0.490 -4.044
H 1.778 -1.065 -1.673
H -0.073 0.190 -6.583
H 0.669 0.159 -6.468
Se 0.142 -0.024 7.152
C 0.067 0.023 5.426
N -0.020 0.001 4.222
*
```



(2)
C37H32NP2Tl as an isolated structure at a distorted geometry. Source: the OMol25 dataset; level of theory: ωB97M-V with the def2-TZVPD basis set.

Calculated values
DFT total energy   -63631.930 eV
F_max   3.0 eV/Å
Energy relative to the best compared isomer or geometry (same formula, charge and spin)   53.2 kcal/mol

```
! wB97M-V def2-TZVPD RIJCOSX def2/J DEFGRID3
* xyz 2 1
C -2.144 -0.807 -0.404
C -1.307 -0.574 -1.515
C -0.807 -1.666 -2.250
C -1.293 -2.948 -1.996
C -2.274 -3.158 -1.018
C -2.708 -2.064 -0.248
P -0.927 1.128 -1.947
C -0.291 1.081 -3.622
C 1.092 1.007 -3.914
C 1.504 0.968 -5.250
C 0.539 0.953 -6.269
C -0.822 0.999 -5.962
C -1.254 1.081 -4.642
Tl 0.781 1.164 -0.084
P 1.441 -0.207 1.903
C 1.473 -1.772 0.976
C 0.691 -2.862 1.416
C 0.868 -4.113 0.840
C 1.723 -4.280 -0.253
C 2.375 -3.166 -0.813
C 2.224 -1.904 -0.228
C 3.042 0.302 2.539
C 3.218 1.651 2.941
C 4.405 2.029 3.583
C 5.498 1.146 3.588
C 5.365 -0.160 3.084
C 4.121 -0.600 2.611
C -0.004 0.046 2.987
C -1.038 1.003 2.768
C -2.080 1.123 3.702
C -2.097 0.304 4.850
C -1.053 -0.597 5.069
C -0.004 -0.722 4.164
C -2.343 2.185 -1.547
C -3.676 1.767 -1.665
C -4.711 2.660 -1.384
C -4.429 3.989 -1.040
C -3.096 4.425 -0.986
C -2.054 3.514 -1.131
H 2.422 2.391 2.748
H 4.473 3.014 4.058
____________

Outcome:
(1)
C37H32LuNP2Se as an isolated structure at a distorted geometry. Source: the OMol25 dataset; level of theory: ωB97M-V with the def2-TZVPD basis set.

Calculated values
DFT total energy   -157907.923 eV
F_max   2.8 eV/Å
Energy relative to the best compared isomer or geometry (same formula, charge and spin)   0.0 kcal/mol

```
! wB97M-V def2-TZVPD RIJCOSX def2/J DEFGRID3
* xyz 2 1
C 0.755 -1.045 -2.036
C -0.293 -1.450 -1.193
C -1.589 -1.618 -1.704
C -1.842 -1.318 -3.040
C -0.812 -0.883 -3.880
C 0.483 -0.741 -3.371
P 0.065 -1.745 0.572
C -1.279 -2.925 1.064
C -2.336 -2.476 1.877
C -3.334 -3.397 2.198
C -3.301 -4.713 1.717
C -2.233 -5.143 0.923
C -1.211 -4.242 0.610
Lu -0.885 -0.023 2.228
P 0.053 1.689 0.462
C -1.335 1.817 -0.732
C -1.157 2.195 -2.068
C -2.252 2.238 -2.941
C -3.527 1.884 -2.479
C -3.698 1.499 -1.151
C -2.623 1.485 -0.262
C -0.220 3.098 1.644
C 0.643 3.189 2.751
C 0.423 4.181 3.699
C -0.595 5.120 3.517
C -1.419 5.059 2.386
C -1.211 4.061 1.432
C 1.599 2.070 -0.371
C 2.678 1.180 -0.213
C 3.913 1.476 -0.787
C 4.094 2.667 -1.507
C 3.026 3.567 -1.647
C 1.779 3.270 -1.079
C 1.617 -2.665 0.614
C 2.056 -3.451 -0.457
C 3.275 -4.136 -0.369
C 4.048 -4.038 0.795
C 3.588 -3.268 1.874
C 2.370 -2.597 1.802
H 1.471 2.479 2.860
H 1.066 4.230 4.576
H -0.731 5.927 4.239
H -2.201 5.805 2.232
H -1.806 4.023 0.514
H -0.169 2.480 -2.423
H -2.109 2.571 -3.968
H -4.387 1.966 -3.156
H -4.695 1.262 -0.779
H -2.823 1.275 0.803
H 2.544 0.256 0.356
H 4.740 0.777 -0.678
H 5.060 2.888 -1.966
H 3.165 4.499 -2.202
H 0.955 3.977 -1.182
H 1.448 -3.537 -1.363
H 3.611 -4.756 -1.204
H 4.985 -4.590 0.872
H 4.179 -3.211 2.784
H 1.985 -2.034 2.658
H -2.498 -1.394 2.227
H -4.151 -3.073 2.833
H -4.109 -5.406 1.958
H -2.188 -6.170 0.556
H -0.344 -4.568 0.028
H -2.355 -2.073 -1.083
H -2.837 -1.500 -3.452
H -0.991 -0.763 -4.951
H 1.306 -0.490 -4.044
H 1.778 -1.065 -1.673
H -0.073 0.190 -6.583
H 0.669 0.159 -6.468
Se 0.142 -0.024 7.152
C 0.067 0.023 5.426
N -0.020 0.001 4.222
*
```



(2)
C37H32NP2Tl as an isolated structure at a distorted geometry. Source: the OMol25 dataset; level of theory: ωB97M-V with the def2-TZVPD basis set.

Calculated values
DFT total energy   -63631.930 eV
F_max   3.0 eV/Å
Energy relative to the best compared isomer or geometry (same formula, charge and spin)   53.2 kcal/mol

```
! wB97M-V def2-TZVPD RIJCOSX def2/J DEFGRID3
* xyz 2 1
C -2.144 -0.807 -0.404
C -1.307 -0.574 -1.515
C -0.807 -1.666 -2.250
C -1.293 -2.948 -1.996
C -2.274 -3.158 -1.018
C -2.708 -2.064 -0.248
P -0.927 1.128 -1.947
C -0.291 1.081 -3.622
C 1.092 1.007 -3.914
C 1.504 0.968 -5.250
C 0.539 0.953 -6.269
C -0.822 0.999 -5.962
C -1.254 1.081 -4.642
Tl 0.781 1.164 -0.084
P 1.441 -0.207 1.903
C 1.473 -1.772 0.976
C 0.691 -2.862 1.416
C 0.868 -4.113 0.840
C 1.723 -4.280 -0.253
C 2.375 -3.166 -0.813
C 2.224 -1.904 -0.228
C 3.042 0.302 2.539
C 3.218 1.651 2.941
C 4.405 2.029 3.583
C 5.498 1.146 3.588
C 5.365 -0.160 3.084
C 4.121 -0.600 2.611
C -0.004 0.046 2.987
C -1.038 1.003 2.768
C -2.080 1.123 3.702
C -2.097 0.304 4.850
C -1.053 -0.597 5.069
C -0.004 -0.722 4.164
C -2.343 2.185 -1.547
C -3.676 1.767 -1.665
C -4.711 2.660 -1.384
C -4.429 3.989 -1.040
C -3.096 4.425 -0.986
C -2.054 3.514 -1.131
H 2.422 2.391 2.748
H 4.473 3.014 4.058